This semester, Off Campus College Transport (OCCT) has reinstated its no-standing policy, which will be effective Friday and Saturday night after midnight. During this time, students will not be able to stand in the aisles of buses; only the number of students who are able to be seated will be allowed to board. This provision has been in effect on and off during OCCT’s history.
Although the Editorial Board acknowledges that this will make the buses safer when transporting students back to campus after they have spent time drinking on State Street, we are concerned for the students who will be left behind both in Downtown Binghamton and on the West Side when there isn’t enough space for everyone to board the buses.
Currently, OCCT said they have no plans to run additional buses to compensate. Each bus seats approximately 36 students, and we estimate that there is usually space for about 20 students to stand. This means that with each bus that brings students back to campus, there will still be a significant number of students left Downtown.
These students will be forced to either wait for the next bus, or find another way back to campus, which usually involves some sort of monetary expense. Of course, cabs might be available, along with ride-hailing services like Uber and Lyft, but these services should not be required.
Entry 1:
Density functional theory data (GGA-PBE) for a geometry-optimized LiAlSi4O10 structure.

Calculated values
energy of formation	-3.2423	eV per atom
calculated volume	13.8	Å³/atom
MP2020-corrected energy	-8.0445	eV/atom
space group	Pc, No. 7
total magnetic moment	0.00	Bohr magnetons per cell
VASP energy	-243.68	eV per cell

```
data_LiAlSi4O10
_cell_length_a 5.208
_cell_length_b 7.736
_cell_length_c 11.898
_cell_angle_alpha 67.16
_cell_angle_beta 90.00
_cell_angle_gamma 90.00
_symmetry_space_group_name_H-M 'P 1'
_symmetry_Int_Tables_number 1
loop_
_symmetry_equiv_pos_as_xyz
'x,y,z'
loop_
_atom_site_label
_atom_site_type_symbol
_atom_site_fract_x
_atom_site_fract_y
_atom_site_fract_z
Si1 Si 0.515 0.712 0.495
O1 O 0.801 0.261 0.960
O2 O 0.026 0.862 0.207
O3 O 0.199 0.261 0.460
O4 O 0.978 0.497 0.746
O5 O 0.802 0.746 0.537
Si2 Si 0.485 0.712 0.995
O6 O 0.699 0.262 0.408
O7 O 0.467 0.138 0.138
Si3 Si 0.010 0.288 0.852
O8 O 0.198 0.746 0.037
Li1 Li 0.251 0.000 0.750
Si4 Si 0.988 0.709 0.146
O9 O 0.533 0.138 0.638
O10 O 0.508 0.504 0.494
O11 O 0.469 0.870 0.359
O12 O 0.492 0.504 0.994
Si5 Si 0.489 0.291 0.500
O13 O 0.697 0.732 0.091
Li2 Li 0.749 0.000 0.250
O14 O 0.027 0.130 0.295
Si6 Si 0.990 0.288 0.352
O15 O 0.974 0.862 0.707
O16 O 0.303 0.732 0.591
O17 O 0.973 0.130 0.795
Si7 Si 0.511 0.291 0.000
Si8 Si 0.012 0.709 0.646
O18 O 0.022 0.497 0.246
O19 O 0.531 0.870 0.859
Al1 Al 0.753 0.000 0.748
Al2 Al 0.247 0.000 0.248
O20 O 0.301 0.262 0.908
```



Entry 2:
Density functional theory data (GGA-PBE) for a geometry-optimized LiAlSi2O7 structure.

Calculated values
energy of formation	-2.6387	eV per atom
calculated volume	14.2	Å³/atom
MP2020-corrected energy	-7.2879	eV/atom
space group	P1, No. 1
total magnetic moment	2.00	Bohr magnetons per cell
VASP energy	-158.08	eV per cell

```
data_LiAlSi2O7
_cell_length_a 5.066
_cell_length_b 7.687
_cell_length_c 8.770
_cell_angle_alpha 114.04
_cell_angle_beta 90.55
_cell_angle_gamma 89.90
_symmetry_space_group_name_H-M 'P 1'
_symmetry_Int_Tables_number 1
loop_
_symmetry_equiv_pos_as_xyz
'x,y,z'
loop_
_atom_site_label
_atom_site_type_symbol
_atom_site_fract_x
_atom_site_fract_y
_atom_site_fract_z
O1 O 0.442 0.473 0.457
O2 O 0.891 0.694 0.269
O3 O 0.221 0.969 0.726
Si1 Si 0.814 0.508 0.106
Li1 Li 0.347 0.122 0.292
O4 O 0.674 0.975 0.926
O5 O 0.171 0.041 0.450
O6 O 0.031 0.450 0.957
Al1 Al 0.334 0.911 0.893
O7 O 0.276 0.671 0.833
Li2 Li 0.845 0.929 0.717
O8 O 0.387 0.302 0.724
O9 O 0.153 0.048 0.078
Si2 Si 0.836 0.098 0.101
Al2 Al 0.855 0.938 0.378
Si3 Si 0.307 0.495 0.887
Si4 Si 0.355 0.074 0.615
O10 O 0.718 0.051 0.254
O11 O 0.786 0.325 0.156
O12 O 0.651 0.987 0.555
O13 O 0.532 0.543 0.032
O14 O 0.630 0.571 0.534
```



Entry 3:
Density functional theory data (GGA-PBE) for a geometry-optimized Li2Al2SiO6 structure.

Calculated values
energy of formation	-3.1418	eV per atom
calculated volume	12.9	Å³/atom
MP2020-corrected energy	-7.3620	eV/atom
space group	C222, No. 21
However, the OCCT buses come at no additional cost to students, while other transportation options can become expensive. Students rely on this service in terms of safety and convenience, and hundreds of students who are trying to get back to campus will need to find other ways of doing so.
We question whether or not this puts students’ safety in jeopardy by giving them fewer opportunities to make it back to campus safely and easily.
It is the University’s responsibility to transport as many students back to campus as it brings Downtown. This bus service is in place for a reason. While we acknowledge that the policy is for students’ safety, it also ignores students’ safety in a different capacity. The University must compensate with additional buses for the number of students who will potentially be stranded Downtown after missing the last bus of the night, and who will not be able to pay for a ride home.
We understand that OCCT and the University must adjust their policies sometimes. However, while some students will be safer, other students might be placed in more danger. The University must account for this disconnect and provide additional buses during these times.